~~~
(1)
{
  "formula": "C12H25ClFNO4S",
  "method": "the ωB97M-V functional and the def2-TZVPD basis",
  "smiles": "CCCCN(Cl)S(=O)(=O)F.C1CCOC1.C1CCOC1",
  "lumo_energy_ev": -0.2,
  "homo_lumo_gap_ev": 9.018,
  "homo_ev": -9.2,
  "elements": ["Cl", "S", "F", "O", "O", "O", "O", "N", "C", "C", "C", "C", "C", "C", "C", "C", "C", "C", "C", "C", "H", "H", "H", "H", "H", "H", "H", "H", "H", "H", "H", "H", "H", "H", "H", "H", "H", "H", "H", "H", "H", "H", "H", "H", "H"],
  "positions_angstrom": [[0.07, -0.45, -4.70], [0.51, 1.53, -2.67], [0.36, 0.09, -1.88], [1.93, 1.93, -2.52], [-2.70, 0.03, 1.91], [0.54, -4.09, 4.62], [-0.34, 2.58, -2.08], [0.24, 1.23, -4.33], [-0.15, 3.36, -5.54], [-1.47, 5.57, -6.08], [-0.86, -1.43, 2.15], [2.56, -4.18, 5.86], [-2.23, -1.07, 2.70], [-0.84, 2.08, -4.90], [1.12, -3.67, 5.86], [-0.35, -0.09, 1.65], [2.89, -4.15, 4.38], [-0.78, 4.69, -4.97], [1.58, -4.56, 3.75], [-1.62, 0.54, 1.12], [0.54, -4.07, 6.69], [-1.66, 2.33, -4.20], [-1.80, 0.26, 0.08], [0.92, 3.33, -5.23], [-2.02, 6.38, -5.56], [-1.31, 1.53, -5.75], [-0.67, 6.04, -6.69], [3.22, -3.57, 6.47], [-2.17, -0.74, 3.74], [3.72, -4.81, 4.11], [-0.22, -1.90, 2.90], [1.44, -4.14, 2.75], [-2.14, 4.96, -6.73], [2.59, -5.20, 6.23], [1.49, -5.65, 3.68], [-1.60, 1.63, 1.19], [0.43, -0.17, 0.90], [-0.17, 3.30, -6.65], [1.09, -2.58, 5.89], [0.04, 0.49, 2.49], [-0.96, -2.13, 1.31], [-2.94, -1.89, 2.64], [-1.47, 4.48, -4.12], [3.16, -3.14, 4.07], [0.06, 5.28, -4.53]],
  "lowdin_charge": [0.69, 0.68, -0.22, -0.29, -0.14, -0.15, -0.27, -0.64, -0.17, -0.12, -0.17, -0.18, -0.20, -0.27, -0.21, -0.17, -0.18, -0.25, -0.21, -0.21, 0.12, 0.11, 0.11, 0.11, 0.07, 0.11, 0.07, 0.11, 0.12, 0.11, 0.10, 0.11, 0.07, 0.12, 0.12, 0.12, 0.10, 0.11, 0.12, 0.12, 0.12, 0.12, 0.10, 0.11, 0.11]
}



(2)
{
  "formula": "C12H25ClFeI2NP2",
  "method": "the ωB97M-V functional and the def2-TZVPD basis",
  "multiplicity": 6,
  "lumo_energy_ev": [-10.2, -10.4],
  "homo_lumo_gap_ev": [4.450, 4.246],
  "total_charge": 2,
  "homo_ev": [-14.7, -14.7],
  "relative_energy_kcal_mol": 32.8,
  "elements": ["I", "I", "Fe", "Cl", "P", "P", "N", "C", "C", "C", "C", "C", "C", "C", "C", "C", "C", "C", "C", "H", "H", "H", "H", "H", "H", "H", "H", "H", "H", "H", "H", "H", "H", "H", "H", "H", "H", "H", "H", "H", "H", "H", "H", "H"],
  "positions_angstrom": [[1.17, 1.27, -0.19], [-0.46, -1.54, 0.77], [-1.26, 0.37, -0.96], [-2.95, 0.89, -2.27], [-1.80, 1.33, 1.19], [0.26, -0.88, -2.36], [2.66, -0.82, 2.01], [3.89, -0.52, 1.64], [-0.77, 1.23, 2.70], [1.85, -1.63, -1.83], [3.46, -1.76, 4.05], [4.77, -1.43, 3.68], [-2.21, 3.09, 1.09], [5.01, -0.80, 2.45], [-3.34, 0.54, 1.76], [-0.56, -2.25, -3.22], [0.82, 0.22, -3.69], [5.92, -1.78, 4.58], [2.43, -1.41, 3.18], [-1.15, 2.00, 3.38], [1.39, -1.64, 3.40], [-3.75, 1.17, 2.56], [6.84, -1.38, 4.18], [0.29, 1.45, 2.50], [-2.80, 3.33, 1.98], [-3.12, -0.46, 2.16], [-0.83, 0.26, 3.17], [-0.66, -3.11, -2.56], [-2.80, 3.30, 0.19], [1.77, -2.17, -0.88], [-0.01, 0.82, -4.08], [3.23, -2.28, 4.98], [6.01, -0.49, 2.13], [1.24, -0.41, -4.48], [6.02, -2.87, 4.69], [-1.55, -1.95, -3.57], [2.63, -0.89, -1.72], [3.98, -0.01, 0.68], [1.59, 0.91, -3.32], [5.75, -1.38, 5.59], [-1.31, 3.69, 1.07], [2.13, -2.35, -2.61], [0.07, -2.51, -4.08], [-4.06, 0.44, 0.95]],
  "mulliken_spin": [0.59, 0.52, 3.76, 0.22, -0.09, -0.09, 0.02, 0.00, 0.03, 0.03, 0.00, 0.00, 0.00, 0.00, 0.01, 0.00, 0.00, 0.00, 0.00, 0.00, 0.00, 0.00, 0.00, 0.00, 0.00, 0.00, 0.00, 0.00, 0.00, 0.00, 0.00, 0.00, 0.00, 0.00, 0.00, 0.00, 0.00, 0.00, 0.00, 0.00, 0.00, 0.00, 0.00, 0.00]
}



(3)
{
  "formula": "C12H25N5O6Pb",
  "method": "the ωB97M-V functional and the def2-TZVPD basis",
  "lumo_energy_ev": [-0.8, -0.8],
  "homo_lumo_gap_ev": [4.536, 4.531],
  "homo_ev": [-5.3, -5.3],
  "relative_energy_kcal_mol": 0.0,
~~~

Please count the lines further up that contain the word "C1CCOC1" and give the number alone.

1